+++
Structure and theoretical X-ray diffraction stick pattern of K2CoCuAg (the GGA-PBE geometry in Alexandria; Cu Kα (λ = 1.5418 Å)).
Kinematic intensities with the Lorentz-polarization factor, no thermal factor.

The 12 most intense peaks (2θ from 10° to 90°), in order of rising 2θ:
2θ/deg  intensity
20.23  57
24.32  32
28.30  80
28.76  100
38.01  19
39.79  20
41.12  36
49.83  40
50.67  29
58.55  24
67.46  15
81.27  17

```
K2CoCuAg
1.0
6.209 0.000 0.000
0.000 6.209 0.000
0.000 0.000 4.531
K Co Cu Ag
2 1 1 1
Cartesian
0.000 3.105 0.000
3.105 0.000 0.000
0.000 0.000 0.000
0.000 0.000 2.265
3.105 3.105 2.265
```

Structure and theoretical X-ray diffraction stick pattern of Th2CoCuAg (the GGA-PBE geometry in Alexandria; Cu Kα (λ = 1.5418 Å)).
Kinematic intensities with the Lorentz-polarization factor, no thermal factor.

The 12 most intense peaks (2θ from 10° to 90°), in order of rising 2θ:
2θ/deg  intensity
26.18  50
27.21  33
31.04  27
31.79  44
32.61  100
33.93  31
34.44  26
35.95  32
37.21  43
39.63  43
47.10  32
61.49  25

```
Th2CoCuAg
1.0
7.831 0.000 0.000
0.000 3.859 0.000
-3.094 0.000 7.249
Th Co Cu Ag
4 2 2 2
Cartesian
-0.126 0.965 2.554
-0.854 0.965 7.213
5.590 2.894 0.035
4.862 2.894 4.695
0.539 2.894 0.741
4.198 0.965 6.508
2.291 2.894 2.666
2.446 0.965 4.583
0.444 2.894 4.929
4.292 0.965 2.320
```

Structure and theoretical X-ray diffraction stick pattern of Er5Co2Ag2 (the GGA-PBE geometry in Alexandria; Cu Kα (λ = 1.5418 Å)).
Kinematic intensities with the Lorentz-polarization factor, no thermal factor.

The 12 most intense peaks (2θ from 10° to 90°), in order of rising 2θ:
2θ/deg  intensity
27.98  37
32.59  54
33.27  43
33.58  100
33.81  99
35.48  64
36.11  78
39.88  33
40.05  40
40.46  38
45.62  36
62.31  34

```
Er5Co2Ag2
1.0
7.954 -3.556 0.000
7.954 3.556 0.000
0.000 0.000 7.200
Er Co Ag
10 4 4
Cartesian
0.000 0.000 0.000
5.974 2.271 4.914
5.974 1.286 1.314
9.933 2.271 4.914
9.933 1.286 1.314
7.954 0.000 3.600
5.974 -1.286 5.886
5.974 -2.271 2.286
9.933 -1.286 5.886
9.933 -2.271 2.286
7.954 2.771 2.786
7.954 0.785 6.386
7.954 -0.785 0.814
7.954 -2.771 4.414
3.499 0.000 0.000
4.455 0.000 3.600
11.452 0.000 3.600
12.408 0.000 0.000
```

Structure and theoretical X-ray diffraction stick pattern of Er8CoAg2 (the GGA-PBE geometry in Alexandria; Cu Kα (λ = 1.5418 Å)).
Kinematic intensities with the Lorentz-polarization factor, no thermal factor.

The 12 most intense peaks (2θ from 10° to 90°), in order of rising 2θ:
2θ/deg  intensity
30.72  46
31.05  32
31.64  30
32.67  100
33.00  66
33.39  25
37.64  25
39.11  20
40.72  27
58.94  22
60.17  18
63.98  17

```
Er8CoAg2
1.0
3.706 -7.833 0.000
3.706 7.833 0.000
-3.162 0.000 5.018
Er Co Ag
8 1 2
Cartesian
0.000 0.000 0.000
1.319 3.058 1.045
2.066 6.092 2.556
1.161 1.771 4.387
1.319 -3.058 1.045
2.825 0.000 1.860
1.161 -1.771 4.387
2.066 -6.092 2.556
0.403 0.000 2.528
3.475 3.381 3.557
3.475 -3.381 3.557
```

Structure and theoretical X-ray diffraction stick pattern of Er7Co2Ag2 (the GGA-PBE geometry in Alexandria; Cu Kα (λ = 1.5418 Å)).
Kinematic intensities with the Lorentz-polarization factor, no thermal factor.

The 12 most intense peaks (2θ from 10° to 90°), in order of rising 2θ:
2θ/deg  intensity
28.82  29
30.03  54
31.68  52
33.12  84
34.29  21
35.08  100
35.67  41
39.61  23
46.22  19
50.58  25
51.73  20
61.80  28

```
Er7Co2Ag2
1.0
-1.805 7.846 4.739
1.805 -7.846 4.739
1.805 7.846 -4.739
Er Co Ag
7 2 2
Cartesian
0.000 0.000 0.000
1.805 2.930 -1.123
1.805 -2.308 2.185
1.805 2.308 2.185
1.805 5.840 0.703
0.000 4.916 3.616
0.000 2.006 5.442
0.000 3.835 0.805
0.000 11.857 0.805
0.000 0.000 3.120
0.000 7.846 2.281
```

Structure and theoretical X-ray diffraction stick pattern of ErCoAg (the GGA-PBE geometry in Alexandria; Cu Kα (λ = 1.5418 Å)).
Kinematic intensities with the Lorentz-polarization factor, no thermal factor.

The 12 most intense peaks (2θ from 10° to 90°), in order of rising 2θ:
2θ/deg  intensity
25.94  11
32.28  28
34.30  100
36.76  80
37.80  23
40.91  46
+++

Search the calculation results further above for the word "Kinematic" and duplicate each line that has it.

Kinematic intensities with the Lorentz-polarization factor, no thermal factor.
Kinematic intensities with the Lorentz-polarization factor, no thermal factor.
Kinematic intensities with the Lorentz-polarization factor, no thermal factor.
Kinematic intensities with the Lorentz-polarization factor, no thermal factor.
Kinematic intensities with the Lorentz-polarization factor, no thermal factor.
Kinematic intensities with the Lorentz-polarization factor, no thermal factor.